Fist time takeing out my new, old boat.


Seaman Apprentice
Jul 19, 2009
Ok a little background info. Bought the boat cheap. 1961 15' Horizon with a 1967 Mercury SL. Came with a trailer. The outboard is immaculate and ran on first crank. It looks to be in great shape so I am almost ready to take it on water. I am waiting for my new water impeller to get here.
After I replace the impeller what other things should I do to increase my chances of actually boating and not just trailing the boat to water and back for repairs?
I have ran it a few times at home with the proper response from the engine all the while making sure the water was flowing.
I expect to not have an issue with the outboard but want to be prepared in case something goes wrong.
What are your checklists before taking out a boat?
What do you look out for?
Should I get an oar just in case?
Any things that I may have overlooked that I should examine?


Chief Petty Officer
Oct 24, 2008
Re: Fist time takeing out my new, old boat.

Take all your safety equipment, fire extinguisher, flotation devices, paddle, whistle, orange flag, etc. i would also take some basic tools and fuses. Stay close to the dock for a while till you get a feel for the boat and see how it runs. Better to be close to your dock than on the other side of the lake if something breaks down. After you find out how it runs and if it runs good then go have fun.

### Here the page breaks off for calculated molecules
********
The following is a DFT calculation (wB97M-V/def2-TZVPD) of C18H36Cl18 as an isolated structure.

Kohn-Sham gap	8.97	eV
HOMO	-8.96	eV
net charge	0
LUMO level	0.0	eV
molecular weight	890.6	u
relative energy (zero: lowest compared OMol25 entry of this formula, charge and spin)	3642.8	kJ/mol

Atoms and positions in Å:
Cl -18.976 -28.048 6.711
C -19.841 -27.030 5.579
C -21.111 -26.319 6.126
Cl -20.828 -25.614 7.742
H -20.077 -27.637 4.705
H -19.163 -26.232 5.276
H -21.985 -26.955 6.265
H -21.332 -25.418 5.553
Cl -18.440 -29.299 0.747
C -18.313 -28.473 2.275
C -19.656 -28.034 2.853
Cl -20.631 -29.559 3.336
H -17.713 -27.571 2.149
H -17.857 -29.240 2.900
H -20.193 -27.463 2.094
H -19.561 -27.392 3.729
Cl -19.664 -31.136 10.400
C -18.645 -30.537 9.063
C -18.992 -29.131 8.439
Cl -19.506 -27.869 9.641
H -18.529 -31.281 8.276
H -17.612 -30.479 9.409
H -19.951 -29.095 7.923
H -18.254 -28.742 7.737
Cl -21.686 -26.452 4.073
C -21.549 -26.068 2.324
C -22.754 -25.189 1.913
Cl -22.733 -24.838 0.215
H -21.482 -26.986 1.740
H -20.585 -25.580 2.186
H -22.758 -24.225 2.422
H -23.662 -25.727 2.185
Cl -18.976 -30.829 6.607
C -18.551 -29.726 5.281
C -17.175 -29.029 5.612
Cl -16.400 -28.492 4.052
H -19.275 -28.937 5.080
H -18.448 -30.396 4.426
H -16.502 -29.697 6.149
H -17.379 -28.214 6.306
Cl -23.097 -27.790 5.293
C -24.496 -26.640 5.648
C -23.980 -25.304 6.187
Cl -23.433 -24.227 4.827
H -25.232 -27.092 6.314
H -25.034 -26.478 4.713
H -23.176 -25.343 6.923
H -24.698 -24.721 6.763
Cl -21.958 -21.596 6.394
C -21.680 -22.364 7.981
C -20.479 -23.392 7.808
Cl -18.978 -22.608 7.428
H -22.644 -22.860 8.094
H -21.563 -21.602 8.752
H -20.768 -23.960 6.923
H -20.363 -24.127 8.605
Cl -22.733 -31.034 7.584
C -22.575 -29.838 6.228
C -21.157 -29.811 5.578
Cl -20.830 -31.319 4.735
H -22.881 -28.890 6.671
H -23.385 -30.130 5.559
H -20.435 -29.817 6.395
H -21.086 -28.985 4.869
Cl -22.401 -26.850 10.623
C -20.856 -26.174 10.167
C -20.823 -24.632 10.649
Cl -21.989 -23.626 9.687
H -20.737 -26.261 9.087
H -20.080 -26.719 10.705
H -19.863 -24.179 10.402
H -21.080 -24.527 11.703

Force components x, y, z for each atom (eV/Å):
Cl -8.503 12.436 -2.166
C 0.258 1.467 0.919
C 2.868 1.217 3.420
Cl -1.013 -6.217 -5.116
H -0.243 0.298 2.527
H 0.077 0.057 -0.392
H 1.782 1.122 0.716
H 0.474 0.101 1.507
Cl -0.405 -0.223 -1.361
C -1.470 -0.370 0.419
C 0.350 -1.027 -2.354
Cl 2.568 4.504 -9.811
H 0.202 -0.342 -0.023
H -0.588 0.713 -0.750
H 0.992 -1.037 0.351
H 1.127 -0.377 -2.268
Cl 0.103 0.326 -0.422
C 1.188 0.976 1.126
C -1.796 -4.232 6.602
Cl 3.813 -4.558 -2.234
H -0.467 -0.205 1.958
H 0.026 0.180 0.597
H 0.320 -1.537 1.300
H 2.542 -2.574 4.264
Cl 0.520 2.536 -10.234
C -0.688 1.188 -0.700
C 0.617 -0.479 1.227
Cl 0.053 -0.013 -1.069
H -1.152 0.338 -0.015
H -0.222 0.400 -0.110
H 0.129 -0.286 -0.019
H -0.063 0.125 -0.191
Cl 3.285 -1.413 -2.748
C 3.292 -1.610 -2.170
C 1.710 -2.152 -1.404
Cl 1.812 0.299 2.828
H 0.728 -1.993 -0.764
H 0.283 0.077 -0.052
H 0.162 -0.405 -0.559
H 2.836 -0.195 -1.936
********
### Here the page continues

Lion hunter

Lieutenant Commander
Apr 9, 2005
Re: Fist time takeing out my new, old boat.

In addition to all the normal safety gear I also take an electric trolling motor or a person to help paddle if needed. Paddling a 16' boat really s***ks


Seaman Apprentice
Jul 19, 2009
Re: Fist time takeing out my new, old boat.

Thanks for the suggestions.
I never thought about taking some tools just in case but it was an oversight by me. Spare fuses? I don't even know where if this boat has any. :eek:

I am planing on taking a friend maybe even meet with one of the other members of this board can suggest when and where to go. Again just in case.
I don't have a trolling motor due to fund restrictions. So meeting with another member would be awesome I got the first round and carne asada tacos as incentive. :cool:

Lion hunter

Lieutenant Commander
Apr 9, 2005
Re: Fist time takeing out my new, old boat.

I would also throw in a various assortment of nuts, bolts, washers, magnet, and bailing wire. For sure when working on a boat on the water they will drop.
It reaaly stinks to have to paddle because you lost 1 nut that has to hold a part on.


Rear Admiral
Aug 29, 2001
Re: Fist time takeing out my new, old boat.

Not familiar with your it aluminum or fiberglass? Have you checked it for soundness? Is the floor and transom solid? Have you dipped it in the water to check for leaks? If you've never had it in the water before, I'd consider a float test just to check the hull for leaks. Have 2 paddlers and paddles on board when you splash test the outboard.


Seaman Apprentice
Jul 19, 2009
Re: Fist time takeing out my new, old boat.

My boat is a 1961 Horizon fiberglass hull, with a 1967 Mercury 650 SL.
I have finally buffed out the boat the whole time looking for any scratches, cracks, or breaks in the fiberglass. Nothing serious a couple of nicks and scratches here and there on the hull. Mostly superficial.
The engine is cleaner than most recent outboards. The previous owner really payed attention to details on this boat. Had it serviced often.
I am just waiting for the impeller to arrive so I can change it out and field test it.
Wish me luck.

-- Between two parts of the page: data records --
<<<
[1]
DFT (ωB97M-V/def2-TZVPD) results for a structure of composition C17H22N4O2S at a distorted geometry.

gap between HOMO and LUMO	8.351	eV
multiplicity	1
energy	-38861.6409	eV

Structure (XYZ):
```
46
C17H22N4O2S ωB97M-V/def2-TZVPD
C 1.49 -2.67 -2.39
N 1.07 -1.27 -2.02
C -0.07 -0.64 -2.28
N 0.00 0.60 -1.58
N 1.19 0.92 -0.95
C 1.93 -0.39 -1.10
C 3.30 -0.74 -0.54
O 3.77 0.24 0.30
C 3.10 0.09 1.49
C 1.98 -0.91 1.77
C 1.57 -1.08 2.91
C 1.94 -0.04 3.96
C 2.67 1.04 3.83
C 3.39 0.84 2.46
H 4.17 1.76 2.28
H 3.05 1.46 4.64
H 1.16 -0.11 5.09
H 0.63 -1.76 3.28
H 1.72 -1.64 0.85
H 3.47 -1.85 -0.49
H 4.11 -0.31 -1.54
S -1.22 -1.51 -2.90
C -2.48 -0.07 -2.93
H -3.24 -0.38 -3.58
H -1.85 1.10 -3.32
C -3.29 0.10 -1.58
O -4.42 -0.33 -1.20
N -2.47 0.75 -0.75
H -1.58 1.02 -0.72
C -3.02 0.90 0.81
C -1.90 0.25 1.63
H -1.09 -0.02 1.15
H -2.44 -0.61 2.23
C -1.50 1.42 2.78
H -2.11 1.43 3.63
H -0.37 1.03 2.86
C -1.56 2.77 1.78
H -0.83 2.42 1.21
H -1.51 3.49 2.46
C -2.79 2.30 1.18
H -3.20 2.97 0.37
H -3.65 2.40 1.99
H -3.91 0.52 0.94
H 0.72 -2.92 -2.90
H 1.80 -3.23 -1.55
H 2.34 -2.51 -2.99
```

***

[2]
DFT (ωB97M-V/def2-TZVPD) results for the molecule C3H6N4 at a distorted geometry.

gap between HOMO and LUMO	10.377	eV
multiplicity	1
energy	-9168.0359	eV

Structure (XYZ):
```
13
C3H6N4 ωB97M-V/def2-TZVPD
C 0.21 0.71 0.10
C -0.16 -0.75 0.42
N 1.58 0.82 -0.31
N -1.45 -0.94 0.84
N 0.70 -1.68 0.55
C -0.78 0.90 -1.04
N -1.47 1.20 -1.90
H -0.01 1.37 0.94
H 1.77 0.23 -1.12
H 1.84 1.77 -0.52
H -1.70 -1.90 1.02
H -2.18 -0.38 0.43
H 1.66 -1.36 0.61
```

***

[3]
DFT (ωB97M-V/def2-TZVPD) results for a cluster of 15 separate species, C18H62F3N28O16 in total at a distorted geometry.

gap between HOMO and LUMO (spin up / spin down)	1.460 / 8.729	eV
⟨S²⟩	0.750
charge	-2
multiplicity	2
energy	-102313.5860	eV

Structure (XYZ):
```
127
C18H62F3N28O16 ωB97M-V/def2-TZVPD
C -1.52 0.09 -1.39
O -0.52 0.09 -0.33
O -2.76 -0.09 -0.75
C -1.35 1.34 -2.26
F -0.88 0.98 -3.43
F -2.41 2.02 -2.57
F -0.60 2.28 -1.71
C 0.88 -0.08 -0.65
C 1.47 -0.21 0.82
H 2.53 0.00 0.66
H 1.15 0.60 1.49
H 1.30 -1.15 1.35
H 1.42 0.67 -1.21
H 1.12 -1.05 -1.08
H -1.22 -0.80 -1.95
C 4.51 1.09 3.81
O 4.65 1.70 4.87
N 3.58 0.28 3.55
N 5.09 1.43 2.67
H 3.36 0.21 2.57
H 2.85 0.16 4.25
H 5.66 2.26 2.81
H 4.98 1.00 1.77
C 2.01 2.26 -4.51
O 2.77 1.86 -5.41
N 1.63 1.62 -3.48
N 1.45 3.39 -4.39
H 1.79 0.62 -3.42
H 1.03 2.09 -2.82
H 0.62 3.62 -3.86
H 1.88 4.08 -4.99
C -0.95 -4.00 1.25
O -0.48 -5.10 1.57
N -2.09 -3.45 1.68
N -0.36 -3.19 0.39
H -2.45 -3.93 2.50
H -2.43 -2.56 1.35
H -0.86 -2.40 0.00
H 0.64 -3.15 0.52
C -5.23 -2.18 -2.89
O -6.02 -2.86 -3.45
N -4.23 -1.53 -3.50
N -5.34 -1.93 -1.63
H -4.12 -1.68 -4.50
H -3.72 -1.01 -2.80
H -4.63 -1.34 -1.22
H -5.91 -2.53 -1.06
C 2.38 3.94 2.02
O 2.36 4.34 0.90
N 1.91 2.92 2.54
N 2.93 4.70 2.98
H 2.27 2.68 3.45
H 1.22 2.32 2.10
H 3.02 4.34 3.92
H 3.27 5.59 2.63
C -2.40 3.57 1.28
O -2.73 4.31 2.12
N -3.15 2.66 0.74
N -1.20 3.37 0.87
H -2.83 2.00 0.05
H -4.15 2.60 0.88
H -1.09 2.68 0.14
>>>


May 18, 2005
Re: Fist time takeing out my new, old boat.

it mite help to mention where you are and what body of water your going to
Iam sure if there is somebody close they would take you up on you offer.



Seaman Apprentice
Jul 19, 2009
Re: Fist time takeing out my new, old boat.

it mite help to mention where you are and what body of water your going to
Iam sure if there is somebody close they would take you up on you offer.


I live in Wilmington and decided I will take her out to lake Peris. Seems to be the cheapest over all price. Since I only intend to try my boat out. Ok a lil fishing never hurt no one :D

I also found out the cheapest way to go would be to launch out of Long Beach Harbor. Only $10 buck for 24 hours including parking. But a bit reluctant since its the salty water clean up duty afterward.

Thanks for the help.


Petty Officer 2nd Class
Dec 7, 2008
Re: Fist time takeing out my new, old boat.

Pump a bit of grease at all the fittings, lightly oil the linkage bearings / joints, inclufing throttle and shift linkages and have a ball. ;)

When them old motors run good,,, they run awhile. Generally they'll warn you in plenty of time when something starts to go afoul. The old ones are like a good lawnmower engine. Not much electronics and such. (less things to crap out)

Salt water cleanup isn't nothing. Quick hosing is all.
I'm lucky and launch in brackish waters. Does the engine flush for me at full bore. :p


Petty Officer 2nd Class
Jul 12, 2009
Re: Fist time takeing out my new, old boat.

check your trailer bearings. trailed mine twice before I checked the bearings. Got lucky on that one. Take a spare battery or a jump start battery. Oars a must. Get the full length ones. Mine had the shorties which I've replaced. A few hand tools.


Seaman Apprentice
Jul 19, 2009
Re: Fist time takeing out my new, old boat.


Well finally received my impeller today.
Replaced it, the old one looked pretty good considering how long it has been out of water.
It took me some time to get the lower unit back in place. The dam copper shaft that I assume takes water to the top of the outboard kept messing me up. I bought a service manual that covers my engine but I don't see any diagrams on how things go. I was tempted to just cut the length on the copper pipe out of the water pump so I could join the lower unit. After some head ache It slipped right in. I made sure to tighten each bolt, and nut. I then connected the water hose to check out my work.
Aha works like a charm. I did not notice any water coming out of the exhaust holes on the top of the motor.
Any reasons. I did take out the flush plug while I ran it a bit.
What should I check for next?

Thanks guys for your help.


Seaman Apprentice
Jul 19, 2009
Re: Fist time takeing out my new, old boat.

Well left the house around 5:30 AM
Pow, blown trailer tire. Had a spare. Back on the 91 for 2 miles, pow again.
Took the Bellflower exit and parked the boat at Fritz'. Ofcourse no one opens early on Sundays so waited till 9:00 for Pepboys. No tires that I needed.
Called around 12 tire shops around the area and nothing.
Finally headed to Wallmart in Lakewood. Got 2 new tires but they would not mount them on my 8" rims. WTF!
Found a Mexican owned tire shop, they mounted both tires, new valve stems, even greased my trailer for $10 bucks. I gave the workers a tip for being cool with me.
The shop is located off Paramount & Artesia Blvd. behind McDonalds. Stop by if you need tires, rims, or anything along those lines. Cool *** people.
1:00 PM finally getting to Perris Lake only to be turned back since "there were too many boats on the lake"
On to Elsinore, stinky launch since they lowered the level and there was a lot of dead fish floating to shore. Successful launch, turned the motor on, hit the boat in front of me, just bearly I was in Nutral
Got out past the bowies running OK for a bit then disaster.
Outboard shuts off. Turned it back on for a while. Had no reverse only forward on both ends of my throttle controls. Shuts down again this time I see smoke. Good thing I have a trolling motor. Back to launch and out of water for repairs. Once back home the following day I turned the engine on for a minute and it worked fine. Reved it up to 2500 RPM's and all looked good.
Decided to mount rod holders and fish finder today. Will mount VHF radio and CD player & speaker later this week.

Any ideas as to why it would shut down on me, blow smoke and then once back home it would run normal?

I finally broke down and ordered a Seloc manual along with some other stuff I need for the trailer & boat.

Lion hunter

Lieutenant Commander
Apr 9, 2005
Re: Fist time takeing out my new, old boat.

As far a shutting down on you I'd bet the carbs are in need of rebuild. Easy to do. 2 strokes do smoke. What kind of motor is it? At a minimum I would clean carbs, fuel pump and replace all filters and lines. A rebuild kit is preferable but sometimes you can get away with a good cleaning if your careful with the gaskets. Just stinks when you rip a gasket and don't have the kit to put it back together. For the reverse, unhook the cable at the motor and see if you can shift it into reverse by hand, may just need adjusted. Is there a grinding when it is in gear? Also when shifting, shift firm into gear at low idle. Don't ease it into gear you'll ruin the gears. Also not advisable to run over high idle on muffs or in a bucket. Do your controls have the black high idle lever?


Seaman Apprentice
Jul 19, 2009
Re: Fist time takeing out my new, old boat.

As far a shutting down on you I'd bet the carbs are in need of rebuild. Easy to do. 2 strokes do smoke. What kind of motor is it? At a minimum I would clean carbs, fuel pump and replace all filters and lines. A rebuild kit is preferable but sometimes you can get away with a good cleaning if your careful with the gaskets. Just stinks when you rip a gasket and don't have the kit to put it back together. For the reverse, unhook the cable at the motor and see if you can shift it into reverse by hand, may just need adjusted. Is there a grinding when it is in gear? Also when shifting, shift firm into gear at low idle. Don't ease it into gear you'll ruin the gears. Also not advisable to run over high idle on muffs or in a bucket. Do your controls have the black high idle lever?

The motor is a 1967 Mercury 650 SL
I will put off the carb rebuild kit for the time being. I will rebuild it.
How would I reverse it by hand? What part do I move or slide to see if it goes in reverse?
I will no longer run it at high idle thanks for the advise.
The controls do have a black "cold start" lever.
I will take more pictures tomorrow.
Thank you

Lion hunter

### Calculated molecules, kept here for reference
-- begin --
Entry 1:
Computed, not measured: C3H7NO7 in the gas phase, with ωB97M-V/def2-TZVPD.

Structure (SMILES)   CO[C@@H](CO)OOO[N+](=O)[O-]
LUMO   -0.29 eV
Spin multiplicity   1
Kohn-Sham gap   10.1 eV
Energy relative to the best compared isomer or geometry (same formula, charge and spin)   0.0 kJ/mol

Each line ends with the Mulliken charge.
Cartesian coordinates (Å):
O -0.670 1.498 1.698  -0.1041
H 0.454 -0.148 1.710  0.2947
O 1.561 -0.777 0.140  -0.4038
C 1.475 -0.052 1.325  -0.6391
O -2.505 2.273 0.699  -0.4603
N -1.954 1.911 1.735  0.9789
H 2.191 -0.453 2.044  0.3119
O -0.269 1.452 0.313  -0.1064
H 1.135 -2.048 -2.099  0.3133
H 1.687 1.000 1.115  0.2700
O -2.540 1.918 2.811  -0.5546
O -0.565 0.141 -0.229  -0.1532
C 0.226 -1.557 -1.727  -0.5715
H 1.012 0.436 -1.411  0.3024
C 0.586 -0.386 -0.811  0.3993
O -0.525 -1.094 -2.821  -0.5176
H -0.360 -2.292 -1.160  0.3199
H -0.938 -1.823 -3.331  0.3203



Entry 2:
Computed, not measured: 2 unconnected molecules or ions with the total composition C5H11N, with ωB97M-V/def2-TZVPD.

Structure (SMILES)   C=CC.C=NC
LUMO   1.10 eV
Spin multiplicity   1
Kohn-Sham gap   10.5 eV
Energy relative to the best compared isomer or geometry (same formula, charge and spin)   243.5 kJ/mol

Each line ends with the Mulliken charge.
Cartesian coordinates (Å):
C 2.633 0.722 0.548  -0.8130
H 0.914 2.469 0.774  0.2650
H -1.653 -2.807 -0.302  0.3048
H 3.291 -0.071 0.194  0.2763
H -2.110 0.465 -1.758  0.2742
C 1.019 2.148 -0.273  -0.3096
H -2.168 0.122 0.670  0.3664
C -1.953 -0.696 -0.002  0.0870
C -1.878 -0.499 -1.311  -0.7778
C -1.631 -2.080 0.506  -1.0233
H 3.270 1.509 0.943  0.3377
H 0.681 2.865 -1.017  0.2871
H -1.234 -1.052 -1.983  0.2433
H -0.627 -2.098 0.938  0.2083
N 1.752 1.154 -0.527  -0.3659
H -2.354 -2.402 1.255  0.3141
H 2.049 0.252 1.345  0.3253



Entry 3:
Computed, not measured: a molecular structure, C3H3IO2, with ωB97M-V/def2-TZVPD.

LUMO (alpha / beta)   -1.91 / -1.90 eV
Spin multiplicity   1
Kohn-Sham gap (alpha / beta)   6.8 / 6.8 eV
Energy relative to the best compared isomer or geometry (same formula, charge and spin)   350.6 kJ/mol

Each line ends with the Mulliken charge.
Cartesian coordinates (Å):
H 0.050 -1.529 0.136  0.2898
H -1.206 0.718 0.632  -0.2076
C 0.192 0.710 0.355  0.6607
C 0.753 -0.726 0.117  -0.3812
C 0.872 1.723 1.036  0.3908
I -2.922 1.201 1.438  -0.4132
O 0.906 2.451 1.951  -0.2356
H 1.796 -0.911 0.418  0.2435
O 0.673 0.317 -0.918  -0.3472



Entry 4:
Computed, not measured: 3 unconnected molecules or ions with the total composition CH4I2N2, with ωB97M-V/def2-TZVPD.

Structure (SMILES)   C#N.NI.I
LUMO   -0.25 eV
Spin multiplicity   1
Kohn-Sham gap   8.7 eV
Energy relative to the best compared isomer or geometry (same formula, charge and spin)   0.0 kJ/mol

Each line ends with the Mulliken charge.
Cartesian coordinates (Å):
H -1.335 -0.901 2.352  0.0665
H 0.977 -0.238 1.426  0.3070
I -1.990 -2.108 1.496  -0.1142
H -0.399 -2.401 -2.914  0.2459
H 0.644 0.470 0.039  0.3892
-- stop --

Lieutenant Commander
Apr 9, 2005
Re: Fist time takeing out my new, old boat.

Look where the cables hook to the motor and the direction it moves when going into reverse. Unhook the control cable and try to move the lever in that direction by hand. May have to push on it with a dowel or something, and rotate the prop a bit to get it engaged, don't really force it but it does take some pressure. If if will go into reverse that way the cable need to adjusted to move out farther. Don't have to start to test. You should be able to feel the prop lock up by spinning it by hand.

Forward- Lock up on direction, spin and click the other
Nuetral- spin both directions
Reverse_ Opposite of forward.

If you have the black lever, it is a warm-up/high idle lever, Use that instead of the throttle for going to high idle on muffs. It may go up as high as 2000 rpm's or so, I can't rememeber.

Once the carbs are rebuilt do a search for "link and sync" in the Merc forum. You have to do this for multiple carb set ups. Easy to do just time consuming.

The fuel pumps you can probably leave attached and just remove the covers and clean or rebuild. Best to rebuild but if you can visually inspect for pin holes sometimes you can get away with cleaning.

After everthing is back together make sure to replace all fuel lines and filter. If the line is deteriorating from ethanol you will undo everything you just did the 1st time you start it.